(1)
An optimized crystal structure of YHoAsI2. Source: OQMD, functional GGA-PBE.

Geometry as extended XYZ:
```
5
Lattice="4.1680 0.0000 0.0000 -2.0840 3.6096 0.0000 0.0000 0.0000 10.8709" Properties=species:S:1:pos:R:3 pbc="T T T"
I 2.0840 1.2032 7.3147
Ho 2.0840 1.2032 1.5328
I 0.0000 2.4064 3.5393
Y 0.0000 2.4064 9.3373
As 0.0000 0.0000 0.0177
```

Summary:
* electronic total energy: -26.145 eV for the cell shown

***

(2)
An optimized crystal structure of AgHgSeO. Source: OQMD, functional GGA-PBE.

Geometry as extended XYZ:
```
16
Lattice="7.1018 0.0000 0.0000 0.0000 8.7055 0.0000 0.0000 0.0000 5.3543" Properties=species:S:1:pos:R:3 pbc="T T T"
Se 6.5965 3.2173 3.0082
O 0.5522 0.9645 0.3190
Ag 0.3545 5.7101 3.0095
O 4.1031 7.7410 0.3190
Ag 3.9054 2.9954 3.0095
Hg 2.7838 0.8241 0.3562
Ag 6.7473 2.9954 0.3323
Se 3.0456 5.4882 3.0082
Ag 3.1964 5.7101 0.3323
Hg 0.7671 0.8241 3.0333
Hg 6.3347 7.8814 0.3562
Se 0.5052 5.4882 0.3311
Se 4.0561 3.2173 0.3311
Hg 4.3180 7.8814 3.0333
O 2.9987 0.9645 2.9961
O 6.5496 7.7410 2.9961
```

Summary:
* ΔE to the lowest computed polymorph: 0.026 eV/atom
* electronic total energy: -47.249 eV for the cell shown

***

(3)
An optimized crystal structure of Lu4SbAuC2. Source: OQMD, functional GGA-PBE.

Geometry as extended XYZ:
```
8
Lattice="3.5786 0.0000 0.0000 -1.7893 3.0991 0.0000 0.0000 0.0000 14.2835" Properties=species:S:1:pos:R:3 pbc="T T T"
C 0.0000 2.0661 10.8310
Lu 1.7893 1.0330 9.5685
Lu 1.7893 1.0330 4.7150
Lu 0.0000 0.0000 2.1502
C 0.0000 2.0661 3.4525
Sb 0.0000 0.0000 7.1418
Au 1.7893 1.0330 0.0000
Lu 0.0000 0.0000 12.1333
```

Summary:
* electronic total energy: -49.067 eV for the cell shown

***

(4)
An optimized crystal structure of Li2Y2SnPd2Pb. Source: OQMD, functional GGA-PBE.

Geometry as extended XYZ:
```
8
Lattice="4.8035 0.0000 0.0000 0.0000 4.8035 0.0000 0.0000 0.0000 6.7968" Properties=species:S:1:pos:R:3 pbc="T T T"
Sn 2.4017 2.4017 0.0000
Li 2.4017 0.0000 5.1198
Y 0.0000 0.0000 0.0000
Pd 2.4017 0.0000 1.6352
Li 0.0000 2.4017 1.6769
Pd 0.0000 2.4017 5.1615
Y 2.4017 2.4017 3.3984
Pb 0.0000 0.0000 3.3984
```

Summary:
* electronic total energy: -40.667 eV for the cell shown

***

(5)
An optimized crystal structure of CsUCuTe3. Source: OQMD, functional GGA-PBE.

Geometry as extended XYZ:
```
12
Lattice="-4.3535 0.0000 0.0000 -2.1767 8.5212 0.0000 0.0000 0.0000 -11.4137" Properties=species:S:1:pos:R:3 pbc="T T T"
U 0.0000 0.0000 0.0000
Te -2.1768 2.0469 -5.0318
Te -2.1767 7.5321 -2.8534
Cu -4.3535 7.9541 -8.5603
Cu -2.1767 0.5671 -2.8534
Cs -2.1767 4.1536 -8.5603
Te -4.3535 0.9891 -8.5603
Te -2.1768 2.0469 -0.6751
U 0.0000 0.0000 -5.7068
Te -4.3535 6.4743 -10.7386
Te -4.3535 6.4743 -6.3819
Cs -4.3535 4.3676 -2.8534
```

Summary:
* electronic total energy: -59.365 eV for the cell shown

***

(6)
An optimized crystal structure of LaHgAu2. Source: OQMD, functional GGA-PBE.

Geometry as extended XYZ:
```
24
Lattice="-2.8607 -3.9143 -1.5364 3.1033 -4.2035 4.9310 -10.8289 3.9257 10.1617" Properties=species:S:1:pos:R:3 pbc="T T T"
La -10.4548 1.3145 7.7004
Au -0.6593 -3.0016 0.4570
Au -6.3174 -2.4993 9.7129
Au -4.2689 -1.6929 3.8435
Au -8.2429 2.2136 9.7085
La -3.2348 -1.3031 0.9250
Hg -3.6095 1.3085 3.3871
Au -7.8791 -0.3839 7.2314
La -5.6672 0.5152 9.2396
Hg -5.2931 -2.0961 6.7782
Hg -7.2194 2.6171 6.7746
Au -2.7072 -3.8082 6.3249
La -6.8448 0.0057 4.3127
Au 0.9019 -5.1162 2.9376
Hg 0.0000 0.0000 0.0000
Au 0.5173 -2.4914 5.3842
Hg -8.9026 -0.7875 10.1653
Au -6.7013 0.1254 12.1581
Au -3.0917 -1.1834 8.7716
La 1.5517 -2.1017 2.4655
La -2.0584 -0.7930 5.8531
Hg -1.6837 -3.4046 3.3910
Au -1.0243 -0.4033 2.9346
Au -4.6339 0.9055 6.3212
```

Summary:
* formation enthalpy at 0 K: -626.3 meV/atom
* electronic total energy: -85.550 eV for the cell shown

***

(7)
An optimized crystal structure of BeTc2. Source: OQMD, functional GGA-PBE.

Geometry as extended XYZ:
```
6
Lattice="4.4041 -3.0551 4.4316 6.5521 -1.2892 -1.9430 5.2313 3.6482 2.7735" Properties=species:S:1:pos:R:3 pbc="T T T"
Your job: copy every line above that contains the word "energy".
* electronic total energy: -26.145 eV for the cell shown
* electronic total energy: -47.249 eV for the cell shown
* electronic total energy: -49.067 eV for the cell shown
* electronic total energy: -40.667 eV for the cell shown
* electronic total energy: -59.365 eV for the cell shown
* electronic total energy: -85.550 eV for the cell shown